To do:
Find "0.5201" and "5.3150 3.0686" in the data further down, and set down these two lines and those between.

Source:
~~~
# Al2TlCd2 PBE optimized geometry
# Raw total energy (eV/atom): -2.17
# E_form (eV/atom): 0.1704
data_Al2TlCd2
_chemical_formula_sum 'Al4 Tl2 Cd4'
_cell_length_a 4.3785
_cell_length_b 4.3785
_cell_length_c 12.4385
_cell_angle_alpha 90.00
_cell_angle_beta 90.00
_cell_angle_gamma 90.00
_space_group_name_H-M_alt 'I 4/m m m'
_space_group_IT_number 139
_space_group_name_Hall '-I 4 2'
loop_
_atom_site_label
_atom_site_fract_x
_atom_site_fract_y
_atom_site_fract_z
Al1 0.0000 0.0000 0.1038
Tl1 0.0000 0.0000 0.5000
Cd1 0.0000 0.5000 0.2500

***

# CsInPtCl6 PBE optimized geometry
# Raw total energy (eV/atom): -3.28
# Uncorrected formation energy (kJ/mol of formula units): -847
data_CsInPtCl6
_chemical_formula_sum 'Cs1 In1 Pt1 Cl6'
_cell_length_a 6.6727
_cell_length_b 6.6727
_cell_length_c 7.8739
_cell_angle_alpha 90.00
_cell_angle_beta 90.00
_cell_angle_gamma 120.00
_space_group_name_H-M_alt 'P 3 1 2'
_space_group_IT_number 149
loop_
_space_group_symop_operation_xyz
'x,y,z'
'-y,x-y,z'
'-x+y,-x,z'
'-y,-x,-z'
'-x+y,y,-z'
'x,x-y,-z'
loop_
_atom_site_label
_atom_site_fract_x
_atom_site_fract_y
_atom_site_fract_z
Cs1 0.0000 0.0000 0.0000
In1 0.6667 0.3333 0.5000
Pt1 0.3333 0.6667 0.5000
Cl1 0.0018 0.3705 0.6831

***

# LaThCdPd PBE optimized geometry
# Raw total energy (eV/atom): -4.96
# E_form (eV/atom): -0.3421
data_LaThCdPd
_chemical_formula_sum 'La4 Th4 Cd4 Pd4'
_cell_length_a 7.5301
_cell_length_b 7.5301
_cell_length_c 7.5301
_cell_angle_alpha 90.00
_cell_angle_beta 90.00
_cell_angle_gamma 90.00
_space_group_name_H-M_alt 'F -4 3 m'
_space_group_IT_number 216
_space_group_name_Hall 'F -4 2 3'
loop_
_atom_site_label
_atom_site_fract_x
_atom_site_fract_y
_atom_site_fract_z
La1 0.0000 0.0000 0.0000
Th1 0.0000 0.0000 0.5000
Cd1 0.2500 0.2500 0.7500
Pd1 0.2500 0.2500 0.2500

~~~~~

Entry from Alexandria via LeMat-Bulk: crystalline Lu2TlOs at its relaxed geometry (GGA-PBE).

```
Lu2TlOs
1.0
-0.8996 3.0970 1.1534
-0.6136 0.4732 3.3362
8.4244 3.2826 2.8418
Os Lu Tl
1 2 1
Cartesian
0.0000 0.0000 0.0000
5.5179 5.2180 5.5490
1.3933 1.6348 1.7825
3.4556 3.4264 3.6657
```

Properties
The symmetry is R-3m, No. 166. The density of states at the Fermi level comes out at 1.58 states/eV per cell. Its formation energy is -0.4 eV per formula unit. The energy above the most stable polymorph in this dataset comes out at 0.085 eV/atom. Its mass density is 13.1 g/cm³.

=====

Entry from Alexandria via LeMat-Bulk: crystalline TmLuTlOs at its relaxed geometry (GGA-PBE).

```
TmLuTlOs
1.0
-1.3209 -4.7413 0.7669
1.2680 -2.2839 4.2413
-3.4923 -1.0973 3.3783
Tm Lu Tl Os
1 1 1 1
Cartesian
0.0000 0.0000 0.0000
-1.7726 -4.0613 4.1933
-0.8863 -2.0306 2.0966
-2.6588 -6.0919 6.2899
```

Properties
The symmetry is F-43m, No. 216. The density of states at the Fermi level comes out at 3.17 states/eV per cell. Its formation energy is -0.7 eV per formula unit. Its mass density is 14.0 g/cm³.

=====

Entry from Alexandria via LeMat-Bulk: crystalline YLuTlOs at its relaxed geometry (GGA-PBE).

```
YLuTlOs
1.0
-2.9507 3.5794 -1.9190
-4.9197 0.0004 0.9991
-1.9517 3.5200 3.0003
Tl Lu Os Y
1 1 1 1
Cartesian
-4.9110 3.5499 1.0402
-7.3665 5.3249 1.5603
0.0000 0.0000 0.0000
-2.4555 1.7750 0.5201
```

Properties
The symmetry is F-43m, No. 216. The density of states at the Fermi level comes out at 3.19 states/eV per cell. Its formation energy is -0.7 eV per formula unit. Its mass density is 12.2 g/cm³.

=====

Entry from Alexandria via LeMat-Bulk: crystalline TmLuOs4 at its relaxed geometry (GGA-PBE).

```
TmLuOs4
1.0
5.3150 0.0000 0.0000
2.6575 4.6029 0.0000
2.6575 1.5343 4.3397
Os Tm Lu
4 1 1
Cartesian
5.3150 1.5338 2.7125
6.6441 3.8360 2.7125
5.3150 3.0686 0.5420
3.9858 3.8360 2.7125
2.6575 1.5343 1.0849
0.0000 0.0000 0.0000
```

Properties
The symmetry is F-43m, No. 216. The density of states at the Fermi level comes out at 5.62 states/eV per cell. Its formation energy is -2.0 eV per formula unit. Its mass density is 17.3 g/cm³.

=====
~~~

Here it is:
-2.4555 1.7750 0.5201
```

Properties
The symmetry is F-43m, No. 216. The density of states at the Fermi level comes out at 3.19 states/eV per cell. Its formation energy is -0.7 eV per formula unit. Its mass density is 12.2 g/cm³.

=====

Entry from Alexandria via LeMat-Bulk: crystalline TmLuOs4 at its relaxed geometry (GGA-PBE).

```
TmLuOs4
1.0
5.3150 0.0000 0.0000
2.6575 4.6029 0.0000
2.6575 1.5343 4.3397
Os Tm Lu
4 1 1
Cartesian
5.3150 1.5338 2.7125
6.6441 3.8360 2.7125
5.3150 3.0686 0.5420